Exercise:
Write out the entries underneath from the line with "55.38" to the end verbatim.
Listing:
____________
Diffraction record for Dy6ZnCd. The powder diffraction line list is simulated, not measured: it uses a structure optimized by DFT (GGA-PBE) and copper Kα.
Peak positions follow from Bragg's law for the DFT cell and can differ from measured ones.

Atomic structure:
abc: 9.489 9.489 9.489
angles: 149.06 149.06 44.32
Fractional coordinates of all 8 atoms:
1 Dy 0.109 0.609 0.500
2 Dy 0.250 0.250 0.000
3 Dy 0.391 0.891 0.500
4 Dy 0.609 0.109 0.500
5 Dy 0.750 0.750 0.000
6 Dy 0.891 0.391 0.500
7 Zn 0.000 0.000 0.000
8 Cd 0.500 0.500 0.000

The 12 most intense peaks (10° ≤ 2θ ≤ 90°), in order of rising 2θ:
2θ/deg	Rel. int.
26.90	9
32.26	100
35.47	43
41.09	10
47.47	7
51.03	15
55.38	16
58.50	7
61.67	31
67.50	9
84.06	7
85.86	7

Diffraction record for Dy6Zn3Cd. The powder diffraction line list is simulated, not measured: it uses a structure optimized by DFT (GGA-PBE) and copper Kα.
Peak positions follow from Bragg's law for the DFT cell and can differ from measured ones.

Atomic structure:
abc: 9.588 4.982 10.642
angles: 90.00 97.66 90.00
Fractional coordinates of all 20 atoms:
1 Dy 0.068 0.250 0.406
2 Dy 0.136 0.750 0.180
3 Dy 0.220 0.250 0.962
4 Dy 0.279 0.750 0.757
5 Dy 0.376 0.250 0.255
6 Dy 0.422 0.250 0.588
7 Dy 0.578 0.750 0.412
8 Dy 0.624 0.750 0.745
9 Dy 0.721 0.250 0.243
10 Dy 0.780 0.750 0.038
11 Dy 0.864 0.250 0.820
12 Dy 0.932 0.750 0.594
13 Zn 0.024 0.750 0.888
14 Zn 0.118 0.250 0.683
15 Zn 0.267 0.750 0.459
16 Zn 0.733 0.250 0.541
17 Zn 0.882 0.750 0.317
18 Zn 0.976 0.250 0.112
19 Cd 0.450 0.750 0.076
20 Cd 0.550 0.250 0.924

The 12 most intense peaks (10° ≤ 2θ ≤ 90°), in order of rising 2θ:
2θ/deg	Rel. int.
25.51	21
30.53	13
31.14	21
33.56	92
33.65	100
35.92	11
36.06	56
36.71	35
38.34	16
43.84	11
52.40	25
63.27	30

Diffraction record for Dy3Zn4Cd4. The powder diffraction line list is simulated, not measured: it uses a structure optimized by DFT (GGA-PBE) and copper Kα.
Peak positions follow from Bragg's law for the DFT cell and can differ from measured ones.

Atomic structure:
abc: 8.695 8.695 8.695
angles: 151.99 128.01 60.09
Fractional coordinates of all 11 atoms:
1 Dy 0.000 0.000 0.000
2 Dy 0.380 0.880 0.500
3 Dy 0.620 0.120 0.500
4 Zn 0.228 0.228 0.000
5 Zn 0.323 0.500 0.823
6 Zn 0.677 0.500 0.177
7 Zn 0.772 0.772 0.000
8 Cd 0.026 0.333 0.693
9 Cd 0.359 0.667 0.693
10 Cd 0.641 0.333 0.307
11 Cd 0.974 0.667 0.307

The 12 most intense peaks (10° ≤ 2θ ≤ 90°), in order of rising 2θ:
2θ/deg	Rel. int.
31.96	30
32.24	95
34.06	100
35.79	15
36.50	19
39.77	43
42.99	35
54.55	13
59.47	14
59.99	25
70.28	21
73.05	11

=====

Simulated powder X-ray diffraction pattern of LiAlFeO3 for copper Kα, from a DFT-relaxed cell (PBE+U, the Materials Project).

Crystal structure
Cell lengths 5.321, 5.468, 5.503 Å; angles 65.03, 66.19, 67.03 degrees
Element x y z (fractional)
Li1 0.069 0.426 0.249
Li2 0.931 0.574 0.751
Al1 0.244 0.919 0.085
Al2 0.756 0.081 0.915
Fe1 0.433 0.736 0.590
Fe2 0.567 0.264 0.410
O1 0.074 0.788 0.921
O2 0.248 0.613 0.390
O3 0.428 0.080 0.211
O4 0.572 0.920 0.789
O5 0.752 0.387 0.610
O6 0.926 0.212 0.079

Peak list (10 most intense, 10° ≤ 2θ ≤ 90°, in order of rising 2θ)
| 2θ (°) | intensity | h k l |
| --- | --- | --- |
| 18.56 | 24 | 0 1 0 |
| 18.90 | 66 | 1 0 0 |
| 22.43 | 27 | 1 0 1 |
| 22.76 | 34 | 1 1 0 |
| 30.01 | 32 | 1 -1 0 |
| 30.29 | 100 | 0 1 -1 |
| 37.60 | 22 | 0 2 0 |
| 42.91 | 59 | 2 2 2 |
| 53.46 | 54 | -2 1 1 |
| 53.99 | 27 | 1 1 -2 |

=====

Simulated powder X-ray diffraction pattern of CaW2O4 for copper Kα, from a DFT-relaxed cell (PBE+U, the Materials Project).

Crystal structure
Cell lengths 6.569, 11.166, 5.686 Å; angles 90.00, 90.00, 90.00 degrees
Element x y z (fractional)
Ca1 0.250 0.250 0.034
Ca2 0.250 0.750 0.354
Ca3 0.750 0.250 0.646
Ca4 0.750 0.750 0.966
W1 0.000 0.000 0.500
W2 0.000 0.500 0.500
W3 0.250 0.516 0.988
W4 0.250 0.984 0.988
W5 0.500 0.000 0.500
W6 0.500 0.500 0.500
W7 0.750 0.016 0.012
W8 0.750 0.484 0.012
O1 0.007 0.103 0.835
O2 0.007 0.397 0.835
O3 0.250 0.089 0.308
____________
Response:
55.38	16
58.50	7
61.67	31
67.50	9
84.06	7
85.86	7

Diffraction record for Dy6Zn3Cd. The powder diffraction line list is simulated, not measured: it uses a structure optimized by DFT (GGA-PBE) and copper Kα.
Peak positions follow from Bragg's law for the DFT cell and can differ from measured ones.

Atomic structure:
abc: 9.588 4.982 10.642
angles: 90.00 97.66 90.00
Fractional coordinates of all 20 atoms:
1 Dy 0.068 0.250 0.406
2 Dy 0.136 0.750 0.180
3 Dy 0.220 0.250 0.962
4 Dy 0.279 0.750 0.757
5 Dy 0.376 0.250 0.255
6 Dy 0.422 0.250 0.588
7 Dy 0.578 0.750 0.412
8 Dy 0.624 0.750 0.745
9 Dy 0.721 0.250 0.243
10 Dy 0.780 0.750 0.038
11 Dy 0.864 0.250 0.820
12 Dy 0.932 0.750 0.594
13 Zn 0.024 0.750 0.888
14 Zn 0.118 0.250 0.683
15 Zn 0.267 0.750 0.459
16 Zn 0.733 0.250 0.541
17 Zn 0.882 0.750 0.317
18 Zn 0.976 0.250 0.112
19 Cd 0.450 0.750 0.076
20 Cd 0.550 0.250 0.924

The 12 most intense peaks (10° ≤ 2θ ≤ 90°), in order of rising 2θ:
2θ/deg	Rel. int.
25.51	21
30.53	13
31.14	21
33.56	92
33.65	100
35.92	11
36.06	56
36.71	35
38.34	16
43.84	11
52.40	25
63.27	30

Diffraction record for Dy3Zn4Cd4. The powder diffraction line list is simulated, not measured: it uses a structure optimized by DFT (GGA-PBE) and copper Kα.
Peak positions follow from Bragg's law for the DFT cell and can differ from measured ones.

Atomic structure:
abc: 8.695 8.695 8.695
angles: 151.99 128.01 60.09
Fractional coordinates of all 11 atoms:
1 Dy 0.000 0.000 0.000
2 Dy 0.380 0.880 0.500
3 Dy 0.620 0.120 0.500
4 Zn 0.228 0.228 0.000
5 Zn 0.323 0.500 0.823
6 Zn 0.677 0.500 0.177
7 Zn 0.772 0.772 0.000
8 Cd 0.026 0.333 0.693
9 Cd 0.359 0.667 0.693
10 Cd 0.641 0.333 0.307
11 Cd 0.974 0.667 0.307

The 12 most intense peaks (10° ≤ 2θ ≤ 90°), in order of rising 2θ:
2θ/deg	Rel. int.
31.96	30
32.24	95
34.06	100
35.79	15
36.50	19
39.77	43
42.99	35
54.55	13
59.47	14
59.99	25
70.28	21
73.05	11

=====

Simulated powder X-ray diffraction pattern of LiAlFeO3 for copper Kα, from a DFT-relaxed cell (PBE+U, the Materials Project).

Crystal structure
Cell lengths 5.321, 5.468, 5.503 Å; angles 65.03, 66.19, 67.03 degrees
Element x y z (fractional)
Li1 0.069 0.426 0.249
Li2 0.931 0.574 0.751
Al1 0.244 0.919 0.085
Al2 0.756 0.081 0.915
Fe1 0.433 0.736 0.590
Fe2 0.567 0.264 0.410
O1 0.074 0.788 0.921
O2 0.248 0.613 0.390
O3 0.428 0.080 0.211
O4 0.572 0.920 0.789
O5 0.752 0.387 0.610
O6 0.926 0.212 0.079

Peak list (10 most intense, 10° ≤ 2θ ≤ 90°, in order of rising 2θ)
| 2θ (°) | intensity | h k l |
| --- | --- | --- |
| 18.56 | 24 | 0 1 0 |
| 18.90 | 66 | 1 0 0 |
| 22.43 | 27 | 1 0 1 |
| 22.76 | 34 | 1 1 0 |
| 30.01 | 32 | 1 -1 0 |
| 30.29 | 100 | 0 1 -1 |
| 37.60 | 22 | 0 2 0 |
| 42.91 | 59 | 2 2 2 |
| 53.46 | 54 | -2 1 1 |
| 53.99 | 27 | 1 1 -2 |

=====

Simulated powder X-ray diffraction pattern of CaW2O4 for copper Kα, from a DFT-relaxed cell (PBE+U, the Materials Project).

Crystal structure
Cell lengths 6.569, 11.166, 5.686 Å; angles 90.00, 90.00, 90.00 degrees
Element x y z (fractional)
Ca1 0.250 0.250 0.034
Ca2 0.250 0.750 0.354
Ca3 0.750 0.250 0.646
Ca4 0.750 0.750 0.966
W1 0.000 0.000 0.500
W2 0.000 0.500 0.500
W3 0.250 0.516 0.988
W4 0.250 0.984 0.988
W5 0.500 0.000 0.500
W6 0.500 0.500 0.500
W7 0.750 0.016 0.012
W8 0.750 0.484 0.012
O1 0.007 0.103 0.835
O2 0.007 0.397 0.835
O3 0.250 0.089 0.308